See all recent and past news and announcements from the Green Lake Association below. If you’d like to contribute to the Green Lake Association Blog & News page, please contact us.
Meeting Minutes – July 31, 2017
Green Lake Association Meeting
July 31, 2017 –
Bob Milam, Christine Milam, Bruce Meyer, Connie Mayfield, Kevin Murphy
Lake Management is spraying channels in the Back Bay again for an overgrowth of native weeds.
Native plants are taking over the lake this year and weed control is not working well. Coontail and Wild Celery is heavy
by the Imm’s but is a native.
Water temps are up – they are at 83 degrees.
Paul Imm is changing the layout of the boat to allow barrels of chemicals to be rolled up onto the boat by widening the
door and making a door that drops down as a ramp. And he is making a transfer for the pump to allow to switch
between barrel or smaller containers.
The Little Green Fishing Pier has been used quit a bit. We saw a lot of people using it this past weekend. It should be
easy to remove in the fall but we will let the city do that. It is only 2 pieces to bring out of the water.
Camp Ojekita Beach needs some help – we will try to get volunteers to help clear brush and debris and make it more
Annual meeting is set for Thursday, October 12th @ 6:30pm at the Chisago Library. We will try to get Casey Theil t talk
about water quality and how we can help our lake with water quality. We will talk about boat improvements. Have
water and cookies. Have newsletters and any other info on the table.
We have over $40k in the bank, waiting on money from the LID – we need to go to the LID meeting in a week to find out
how much we will get.
Meeting Minutes – May 7th, 2017
Green Lake Association Meeting
May 7, 2017 .
Bob Milam, Christine Milam, Connie Mayfield, Bruce Meyer, Cheryl Kempenich, Bret Evers.
Curly Pondleaf spraying went well, in the narrows on Big Green the curly leaf looks good. By the Little Green boat landing it died off.
Spray markers are going to be put out during spray. The spray needs to be done in larger areas (5 acre parcels) because of the type of chemical used. It sinks in a different way than other chemicals. Waiting for the permit from the DNR. Bob will get ahold of Chris from the DNR this week because the milfoil is up. We need a place to deliver the 17 barrels of chemical.
We will have Craig come out and retrofit the boat for the spray. Craig is the person who did the Curly leaf spraying. We could probably have Jeff Hoyt retrofit the piping for the hookup. We will do this after the spraying is done for next year.
Fishing pier is back on, Bill Mack showed up and talked with Carol. Bill will make it 26ft off of the lot line. It should be about 6 weeks to get it in.
Camp Ojekita expanded their dock for tying up to, to go into the park.
Muskrats are out in full force. The otter has been seen on Big Green.
Summer events – 1 st and 3 rd Thursdays of the month is the Floatilla event. Connie will send out a Facebook post. Should we do a potluck?
Lake Management is going to spray the channels in the Back Bay. Bob will contact them to do it.
Fall Meeting – speaker from the Lake Lobbying group (Minnesota Lakes and Rivers). Our positions are up, we need to have a ballot sheet set up at the annual meeting.
Forest Lake’s annual meeting had close to 200 people at their meeting.
102 paying members, that is about 1/3 of the residents/businesses. Spring newsletter brings in the most.
Spring 2017 Newsletter
Green Lake Association Meeting April 11, 2017
It snowed a couple inches yesterday. It is 49 our today and into the 60s for the weekend.
Bob Milam, Christine Milam, Kevin Murphy, Bruce Meyer, Cheryl Kempenich, Bret Evers .
Newsletter is done. Christine waiting on UPS for an estimate for cost and getting it out.
Should we add another page to the newsletter? Or shrink the ads down? Should we add a blurb on facebook about advertisers? Connie is doing a great job of adding to Facebook.
Hunters took out 800 muskrats this past fall. It didn’t make a dent.
We received a check from Midwest One Bank. New businesses that may want to support the association should be contacted in the near future.
-- Attached: materials data --
........
Entry 1:
The following is a DFT calculation (PBE) of TlSbAs2Cl after structural relaxation.

Cell: 5.0092 5.0092 5.5625 Å, 90.00 90.00 90.00°
Closest atoms and distances in Å follow each position.
Space group P4/mmm (No. 123)
Unique sites:
Tl  0.0000  0.0000  0.0000 (multiplicity 1)  2 Cl 2.78
Sb  0.5000  0.5000  0.0000 (multiplicity 1)  4 Tl 3.54, 8 As 3.74
As  0.0000  0.5000  0.5000 (multiplicity 2)  2 Cl 2.50
Cl  0.0000  0.0000  0.5000 (multiplicity 1)  4 As 2.50, 2 Tl 2.78

Summary:
- ΔE_f (raw): 661 meV per atom


Entry 2:
The following is a DFT calculation (PBE) of Zn2SbAsCl after structural relaxation.

Cell: 5.3076 5.3076 5.1516 Å, 90.00 90.00 90.00°
Closest atoms and distances in Å follow each position.
Space group P4/mmm (No. 123)
Unique sites:
Zn  0.0000  0.5000  0.0000 (multiplicity 2)  2 Sb 2.65
Sb  0.0000  0.0000  0.0000 (multiplicity 1)  2 Cl 2.58, 4 Zn 2.65
As  0.5000  0.5000  0.5000 (multiplicity 1)  8 Zn 3.70, 4 Cl 3.75
Cl  0.0000  0.0000  0.5000 (multiplicity 1)  2 Sb 2.58

Summary:
- ΔE_f (raw): 505 meV per atom


no.,DFT total energy (eV for the cell shown)
1,-14.327
2,-10.640
........
Funds are good, we need to use some of the funds. We are at $40k. We have enough to spray with the money we have.
The other lake associations are only spraying for curly leaf, not milfoil. Curly leaf has been on the lake for decades.
New aquatic spray company has bid a good price with a new solution. He is going to bring out 30 gal barrels with chemicals instead of individual containers. He takes care of the barrels and it is much less expensive. He has done this before. We hope this is a great option. If it goes well we will keep using him for other treatments. If this is quick we could socialize the boat with other lake associations. He will train our guys and the Lake Coalition. Pricing is not the lowest because he is involved but once we see this work we wouldn’t need him. We are still using Lake Management for the channels. The lighter adapter is installed so we have the GPS available to map our spraying. We could already treat for curly leaf. The DNR won’t give us a permit for milfoil until they come out and inspect. Maps need to be put on the website. 70 acres has a permit – we only did 19 acres last year.
Are we putting buoys out for the channels? Yes we will put something out.
Lake Ellen carp harvest is still possible but it probably won’t happen this year. The cost was really expensive.
Indians came out and netted the walleye this past weekend. A lot came out of Little Green.
We will put the City Dock in Saturday, April 29th at 10:30am, only a few people are needed.
Next week there is meeting in St Paul, Minnesota Water Action Days. Bruce is going there. It is a time to talk to the legislator about the concerns for the local lakes. 8am-4pm.
Zebra mussel workshop –
Forest Lake Association Meeting is next Thursday, Bob and Bruce are going. Forest Lake, Clear Lake and Bone Lake are part of the same lake association.
Treasurers Report – checking $29,789.02, CD 1 – $5,478.60, CD 2 – $10,613.96
Fun events – Floating gathering. Picnic at Camp Ojiketa
Fall 2016 Newsletter
Green Lake Home Sales Report: Jan-Sept, 2016
Street Address | Price | Acres | Style | Beds | Baths | Sq FT | Yr Built |
9975 Bonnie Glen Parkway | $96,100 | 0.1 | 1 Story | 1 | 1 | 700 | 1951 |
9935 Bonnie Glen Parkway | $164,000 | 0.1 | 1 Story | 2 | 1 | 919 | 1952 |
27125 Jonquil Drive | $161,500 | 0.5 | 1 Story | 2 | 1 | 780 | 1951 |
27379 Jonquil Drive | $184,000 | 0.3 | 1 Story | 2 | 2 | 990 | 1949 |
29126 Old Towne Road | $295,000 | 0.3 | 3 Story | 3 | 2 | 2045 | 1916 |
27970 Kent Avenue | $313,500 | 0.7 | 1 Story | 4 | 2 | 2112 | 1956 |
10420 Kismet Isle | $325,000 | 0.6 | 1 Story | 3 | 2 | 1956 | 1972 |
27822 Kent Court | $364,900 | 0.6 | Split | 3 | 3 | 2164 | 1990 |
28495 Johnson Lane | $406,900 | 0.7 | 1.5 Story | 3 | 3 | 2424 | 1920 |
9041 Lake Boulevard | $400,000 | 2.7 | 1 Story | 2 | 3 | 2340 | 1988 |
26022 Sunset Drive | $452,429 | 0.8 | 2 Story | 4 | 3 | 2486 | 2015 |
25651 Jeffery Avenue | $463,000 | 3.9 | 1 Story | 6 | 4 | 5480 | 1993 |
9047 Lake Boulevard | $535,000 | 3.4 | 1 Story | 3 | 2 | 1615 | 1988 |
25703 Jeffery Avenue | $675,000 | 3.9 | 1 Story | 4 | 3 | 4652 | 1992 |
Ridge Point Townhomes | Price | Acres | Style | Beds | Baths | Sq FT | Yr Built |
27699 Woodland Drive | $145,000 | 0 | Town Hm | 2 | 1 | 1077 | 2000 |
10898 Woodland Drive | $187,500 | 0 | Town Hm | 2 | 2 | 1338 | 2000 |
27714 Woodland Drive | $190,000 | 0 | Town Hm | 2 | 1 | 1454 | 1999 |
27751 Woodland Drive | $227,900 | 0 | Town Hm | 2 | 2 | 1454 | 2001 |
27720 Woodland Drive | $267,875 | 0 | Town Hm | 2 | 2 | 1528 | 2000 |
27710 Ridge Point Drive | $345,000 | 0 | Town Hm | 3 | 2 | 1600 | 1997 |
Meeting Minutes 7/25/16
Green Lake Association Meeting
July 25, 2016, temp the past week was in the upper 90, today was beautiful in the mid-80’s. We had 3 inches of rain on Saturday. High winds on Thursday morning caused some damage to trees and boat lifts.
Bruce Meyer, Bob Milam, Christine Milam, Bret Evers, Cheryl Kempenich, Kevin Murphey
New Business
The boat has been put to bed for the year. Roger said we could keep the boat over there.
Weeds are strange this year, they are horrible. We need to make a spray path in Dog Fish Bay, where Roger lives. The clarity was bad when the heat was up in the 90’s. Good news about the farm runoff, the water is crystal clear. We are down 1.9ft from normal.
Ki Chi Saga is coming up, August 20-21 st . Volunteers needed for the LID booth.
Annual meeting, should we have a Saturday morning meeting? Saturday, October 29th? Or Thursday, October 27th?
Connie will contact Bill Mack and John Ollinger from the City of Lindstrom as our speaker to talk about the Water Trail System for Kayak, Canoe and Paddle boarding with a map.
Bruce will go to the LID meeting to talk to them about getting a wheelchair accessible dock/pier. He will try to get some funding from the LID and DNR.
Facebook is going well. Lots of likes and visitors to the site. We need to get homeowners pictures for the website.
New homes going up on the lake. There are still homes on the lake with outhouses.
Treasurer’s Report
Cheryl presented the bank statements.
CD’s are going to be changed out of Julie Vick’s name, they are going to have to change the login to a business login instead of personal CD. CDs are automatically renewed annually. If we would have known we could have gotten an higher interest rate.
We received the check from the DNR for the grant. We submitted a request from the LID for money.
Cheryl found out it was going to cost $5.00 to get paper statements, we are now going paperless.
- Checking – $36,654.66
- Income – $11,299.52
- Expenses – $15,546.47
- CD-1 $5,473.10
- CD-2 $10,590.14
We should be getting a check from the recycling company for a couple hundred soon. They picked up the recycling last week.
Lamba EOS Decontamination Unit
The Lamba EOS decontamination unit was at Little Green lake landing July 6th. Below is a description of where the unit will be located and how it is used.
In 2015, Chisago County purchased a Lambda EOS decontamination unit. The decontamination unit is used to apply hot water to watercraft to kill zebra mussels. The decontamination unit will rotate among the 10 most heavily used public water access in Chisago and northern Washington Counties. These accesses include Chisago/South Lindstrom, East Rush, Forest 1, Forest 3, Green, Little Green, North Center, Osceola, South Center, and Taylors Falls Lions Club landing.
Water Resource Directory
Chisago Lakes Area Chain of Lakes, Water Resource Directory
View the PDF Copy Here:
Chisago Lakes Water Trail
GLA members,
Chisago County is working to create a water trail system in which people kayaking and canoeing can navigate amongst the Chisago Chain of Lakes. Most of the trail system can be accomplished without portaging a canoe or kayak.
If you are interested in knowing more about this new venture by the county, you are welcome to attend the Chisago Lakes Water Trail Summit meeting on Sat May 7. The meeting will be held at 9:00am at the Chisago Lakes Library.